<<<
## KRbGa2Ir (GGA-PBE)

Data for a geometry-optimized KRbGa2Ir structure.

a b c (Å): 4.9054 4.9054 6.1069
angles (deg): 90.00 90.00 90.00
Closest atoms and distances in Å follow each position.
Space group P4/mmm (No. 123)
Unique sites:
K1 0.0000 0.0000 0.0000 (multiplicity 1)  2 Ir 3.05
Rb1 0.5000 0.5000 0.0000 (multiplicity 1)  4 K 3.47
Ga1 0.0000 0.5000 0.5000 (multiplicity 2)  2 Ir 2.45
Ir1 0.0000 0.0000 0.5000 (multiplicity 1)  4 Ga 2.45

calculated density = 5.16 g/cm³
ΔE_f = -0.097 eV/atom
DOS(E_F) = 0.211 states/eV/atom
DFT total energy = -3.492 eV/atom
total moment = 0.000 μB per atom

~~~~~

## Ag3HgCl (meta-GGA SCAN)

Data for a crystal of Ag3HgCl relaxed with PBEsol.

Cell and atoms, written as CIF:
```
data_Ag3HgCl
_chemical_formula_sum 'Ag3 Hg1 Cl1'
_symmetry_space_group_name_H-M 'P m -3 m'
_symmetry_Int_Tables_number 221
_symmetry_space_group_name_Hall '-P 4 2 3'
_cell_length_a 4.8918
_cell_length_b 4.8918
_cell_length_c 4.8918
_cell_angle_alpha 90.00
_cell_angle_beta 90.00
_cell_angle_gamma 90.00
loop_
_atom_site_label
_atom_site_fract_x
_atom_site_fract_y
_atom_site_fract_z
_atom_site_occupancy
Ag1 0.0000 0.0000 0.5000 1
Hg1 0.5000 0.5000 0.5000 1
Cl1 0.0000 0.0000 0.0000 1
```

Computed properties:
ΔE_f (raw) in eV per atom: 0.467
ρ in kg/m3: 7939
E in eV per cell: -167.91

## AgHg2Cl (meta-GGA SCAN)

Data for a crystal of AgHg2Cl relaxed with PBEsol.

Cell and atoms, written as CIF:
```
data_AgHg2Cl
_chemical_formula_sum 'Ag3 Hg6 Cl3'
_symmetry_space_group_name_H-M 'R -3 m'
_symmetry_Int_Tables_number 166
_symmetry_space_group_name_Hall '-R 3 2"'
_cell_length_a 3.5194
_cell_length_b 3.5194
_cell_length_c 24.3693
_cell_angle_alpha 90.00
_cell_angle_beta 90.00
_cell_angle_gamma 120.00
loop_
_atom_site_label
_atom_site_fract_x
_atom_site_fract_y
_atom_site_fract_z
_atom_site_occupancy
Ag1 0.0000 0.0000 0.0000 1
Hg1 0.0000 0.0000 0.2526 1
Cl1 0.0000 0.0000 0.5000 1
```

Computed properties:
ΔE_f (raw) in eV per atom: -0.235
Polymorph energy (0 for the lowest one) in eV/atom: 0.0223
ρ in kg/m3: 10377
E in eV per cell: -529.85

## AgHg2Cl (meta-GGA SCAN)

Data for a crystal of AgHg2Cl relaxed with PBEsol.

Cell and atoms, written as CIF:
```
data_AgHg2Cl
_chemical_formula_sum 'Ag4 Hg8 Cl4'
_symmetry_space_group_name_H-M 'I -4 2 d'
_symmetry_Int_Tables_number 122
_symmetry_space_group_name_Hall 'I -4 2bw'
_cell_length_a 8.9729
_cell_length_b 8.9729
_cell_length_c 5.1002
_cell_angle_alpha 90.00
_cell_angle_beta 90.00
_cell_angle_gamma 90.00
loop_
_atom_site_label
_atom_site_fract_x
_atom_site_fract_y
_atom_site_fract_z
_atom_site_occupancy
Ag1 0.0000 0.0000 0.0000 1
Hg1 0.1785 0.2500 0.1250 1
Cl1 0.0000 0.0000 0.5000 1
```

Computed properties:
ΔE_f (raw) in eV per atom: -0.215
Polymorph energy (0 for the lowest one) in eV/atom: 0.0426
ρ in kg/m3: 8807
E in eV per cell: -706.14

## AgHg2Cl (meta-GGA SCAN)

Data for a crystal of AgHg2Cl relaxed with PBEsol.

Cell and atoms, written as CIF:
```
data_AgHg2Cl
_chemical_formula_sum 'Ag1 Hg2 Cl1'
_symmetry_space_group_name_H-M 'P 4/m m m'
_symmetry_Int_Tables_number 123
_symmetry_space_group_name_Hall '-P 4 2'
_cell_length_a 3.9921
_cell_length_b 3.9921
_cell_length_c 5.5215
_cell_angle_alpha 90.00
_cell_angle_beta 90.00
_cell_angle_gamma 90.00
loop_
_atom_site_label
_atom_site_fract_x
_atom_site_fract_y
_atom_site_fract_z
_atom_site_occupancy
Ag1 0.0000 0.0000 0.0000 1
Hg1 0.0000 0.5000 0.5000 1
Cl1 0.5000 0.5000 0.0000 1
```

Computed properties:
ΔE_f (raw) in eV per atom: -0.146
Polymorph energy (0 for the lowest one) in eV/atom: 0.1107
ρ in kg/m3: 10275
E in eV per cell: -176.26

## AgHg2Cl (meta-GGA SCAN)

Data for a crystal of AgHg2Cl relaxed with PBEsol.

Cell and atoms, written as CIF:
```
data_AgHg2Cl
_chemical_formula_sum 'Ag4 Hg8 Cl4'
_symmetry_space_group_name_H-M 'F m -3 m'
_symmetry_Int_Tables_number 225
_symmetry_space_group_name_Hall '-F 4 2 3'
_cell_length_a 7.0717
_cell_length_b 7.0717
_cell_length_c 7.0717
_cell_angle_alpha 90.00
_cell_angle_beta 90.00
>>>

Retype only the last part of the material above, starting with the line that has "_symmetry_space_group_name_H-M 'I".

_symmetry_space_group_name_H-M 'I -4 2 d'
_symmetry_Int_Tables_number 122
_symmetry_space_group_name_Hall 'I -4 2bw'
_cell_length_a 8.9729
_cell_length_b 8.9729
_cell_length_c 5.1002
_cell_angle_alpha 90.00
_cell_angle_beta 90.00
_cell_angle_gamma 90.00
loop_
_atom_site_label
_atom_site_fract_x
_atom_site_fract_y
_atom_site_fract_z
_atom_site_occupancy
Ag1 0.0000 0.0000 0.0000 1
Hg1 0.1785 0.2500 0.1250 1
Cl1 0.0000 0.0000 0.5000 1
```

Computed properties:
ΔE_f (raw) in eV per atom: -0.215
Polymorph energy (0 for the lowest one) in eV/atom: 0.0426
ρ in kg/m3: 8807
E in eV per cell: -706.14

## AgHg2Cl (meta-GGA SCAN)

Data for a crystal of AgHg2Cl relaxed with PBEsol.

Cell and atoms, written as CIF:
```
data_AgHg2Cl
_chemical_formula_sum 'Ag1 Hg2 Cl1'
_symmetry_space_group_name_H-M 'P 4/m m m'
_symmetry_Int_Tables_number 123
_symmetry_space_group_name_Hall '-P 4 2'
_cell_length_a 3.9921
_cell_length_b 3.9921
_cell_length_c 5.5215
_cell_angle_alpha 90.00
_cell_angle_beta 90.00
_cell_angle_gamma 90.00
loop_
_atom_site_label
_atom_site_fract_x
_atom_site_fract_y
_atom_site_fract_z
_atom_site_occupancy
Ag1 0.0000 0.0000 0.0000 1
Hg1 0.0000 0.5000 0.5000 1
Cl1 0.5000 0.5000 0.0000 1
```

Computed properties:
ΔE_f (raw) in eV per atom: -0.146
Polymorph energy (0 for the lowest one) in eV/atom: 0.1107
ρ in kg/m3: 10275
E in eV per cell: -176.26

## AgHg2Cl (meta-GGA SCAN)

Data for a crystal of AgHg2Cl relaxed with PBEsol.

Cell and atoms, written as CIF:
```
data_AgHg2Cl
_chemical_formula_sum 'Ag4 Hg8 Cl4'
_symmetry_space_group_name_H-M 'F m -3 m'
_symmetry_Int_Tables_number 225
_symmetry_space_group_name_Hall '-F 4 2 3'
_cell_length_a 7.0717
_cell_length_b 7.0717
_cell_length_c 7.0717
_cell_angle_alpha 90.00
_cell_angle_beta 90.00